Welcome to edition #7 of Hot Girl Gothic. If you missed edition #6, the one where I define limerence and sue my Current Romantic Obsession, check back in your email (spam and promotions too) and mark it as important, or click here. Tell a friend! xo
I am trying to heal but I am finding it stupid. I know I’ve hit rock bottom when I wake up with the memory of googling “Sex and Love Addicts Anonymous meetings in New York City”. Though sometimes it shocks me that I would ever consider myself a sex and love addict, somehow, bi-annually, after I stay up crying over a text message one too many nights in a row, I’m bebopping into Google as if I’ve been diagnosed!
Finding an SLAA meeting is like picking a sorority; each chapter has totally different vibes. It’s social suicide to choose the wrong one, so I spend hours pouring over each of the chapters’ little websites. I end up picking one at random, because if they do have different vibes, their websites suck at storytelling them, and I enter my email into a vibeless Google Form asking for contact information.
All of their meeting rooms look like this one. Why? Do we all snuggle up on the couch? Seems counterproductive!
Then I fall asleep for 11 hours, and the next day, I carry on as if nothing has happened because 1. The morning version of myself does not associate with the night version and 2. These chapters always ghost me! This seems particularly cruel to do as an organization serving sex and love addicts!
But even if they did text me back, I would never actually go to a meeting because I am not, in fact, a sex and love addict; I am just insane.
But then again, I don’t KNOW! This list looks like my weekly to-do list! Could I imagine a Tuesday afternoon without confusing love with the need to be rescued? Or a misty Friday evening without being immobilized by romantic obsession? What is this, prohibition?!
So maybe I am a sex and love addict by this diagnostic criteria. What now? Certainly I should be researching the ethics of this organization before I leave all my daydreams at their door. Who is the ringleader of this twelve-step shebang? I’ll tell you, it’s the Catholic Church! And baby, I’ve done the research, and it is not all fun and games regarding sexual liberation over there!
SLAA is just very confusing. First of all, they have made it very difficult to tell the difference between a sex and love addict and an ARTIST with a penchant for the DRAMATIC! Like at least three of these criteria are mandatory to receive your BFA in Acting. And yes, I am experiencing a lot of suffering, but many of my favorite authors, poets, and friends are also suffering thus. Can all deep feeling be pathologized into the terms of addiction? Is that always helpful?
I know for some people it can be, but there is danger in categorizing love as a substance, like alcohol, and in reducing deep feelings to symptoms.
Second of all, famously, I am a girl. So many areas of my life are held together by fantasy and falsity and fabricated love. If I pull at the thread of fantasy when it comes to romantic obsession, I fear my whole life will unravel!
I have spent a week of midnights caressing my iPhone, searching to see if SLAA could fix me and my limerence problem. All I got was a moral conundrum about the chronic pathologization of women’s survival skills, a newfound gratitude for nihilism, an increased awareness of my deep loneliness, and this lousy t-shirt!
Ok we weren’t married in real life but in my mind it was sooo real
Still, I want it so much, for some guru to tell me my longing is an addiction, or an illness, or fate’s cruel hands, or anything that indicates it’s some sick evil outside of myself. This is why I keep googling these damn meetings! One of the core tenets of SLAA is “accepting powerlessness” over your addiction. Once you accept that, you can “give it over to God”. Doesn’t that sound so hot? Surrender. Give it to me, oh baby, I want it.
But I don’t believe in God. And I don’t believe in my own powerlessness, try as I may. My greatest and grossest desire is to be able to finally put up my hands and say to someone, “Okay. I’m yours. I’ll do whatever you want. If you’ll just love me.” But this fantasy of surrender is only mine. I cast, script, and shoot it. I build my Current Romantic Obsession from the ground up. I am the only God here. But in this God, I DO NOT TRUST.
This is my official cease and desist to myself.
We established last week that my Current Romantic Obsession deserves incarceration, or whatever the leftist version is, for not loving me enough to bend space, time, and fantasy. Ugh, boys, right! But I sued him over that last week. With that being done, I intended to go from being obsessed with him to being obsessed with healing.
But how am I supposed to heal when I have tied everything in my life to this fantasy?
THINGS I HAVE RUINED, an incomplete list:
ALL MUSIC: I can twist any song to be about him. Today I listened to the Original Broadway Cast recording of The Drowsy Chaperone and pretended it was about us.
-- Unrelated to this text: materials data --
┌──
No. 1
Starting from DFT lattice parameters and positions (PBE), the powder XRD pattern of PdRhS3 was calculated for Cu Ka.

Cell and atoms:
a b c (Å): 6.475 6.475 8.950
angles (deg): 90.00 90.00 120.00
Fractional coordinates of all 15 atoms:
Pd  0.000  0.000  0.000
Pd  0.333  0.667  0.667
Pd  0.667  0.333  0.333
Rh  0.000  0.000  0.610
Rh  0.333  0.667  0.277
Rh  0.667  0.333  0.944
S  0.177  0.355  0.496
S  0.177  0.823  0.496
S  0.312  0.156  0.830
S  0.511  0.021  0.163
S  0.511  0.489  0.163
S  0.645  0.823  0.496
S  0.844  0.156  0.830
S  0.844  0.688  0.830
S  0.979  0.489  0.163

Principal peaks in the range 2θ from 10° to 90°, sorted by position:
h k l, 2theta, d (Å), I (rel.)
1 0 1, 18.7, 4.752, 87
0 1 2, 25.5, 3.498, 86
1 1 0, 27.6, 3.238, 100
2 0 2, 37.9, 2.376, 55
1 1 3, 41.1, 2.194, 92
1 2 2, 47.5, 1.915, 42
3 0 0, 48.7, 1.869, 21
0 1 5, 53.8, 1.705, 21
2 2 0, 56.9, 1.619, 35
0 3 3, 58.2, 1.584, 33
2 0 5, 61.5, 1.509, 19
4 1 3, 85.8, 1.132, 21



No. 2
Starting from DFT lattice parameters and positions (PBE), the powder XRD pattern of RbY was calculated for Cu Ka.

Cell and atoms:
a b c (Å): 18.282 3.712 10.039
angles (deg): 90.00 90.00 90.00
Fractional coordinates of all 12 atoms:
Rb  0.000  0.240  0.000
Rb  0.211  0.754  0.698
Rb  0.289  0.246  0.198
Rb  0.500  0.760  0.500
Rb  0.711  0.246  0.198
Rb  0.789  0.754  0.698
Y  0.000  0.243  0.585
Y  0.089  0.742  0.355
Y  0.411  0.258  0.855
Y  0.500  0.757  0.085
Y  0.589  0.258  0.855
Y  0.911  0.742  0.355

Principal peaks in the range 2θ from 10° to 90°, sorted by position:
h k l, 2theta, d (Å), I (rel.)
1 0 1, 10.1, 8.800, 88
2 0 2, 20.2, 4.400, 99
5 0 1, 25.9, 3.436, 100
4 0 2, 26.4, 3.380, 55
1 0 3, 27.1, 3.292, 55
2 1 1, 27.4, 3.253, 97
3 1 0, 28.2, 3.170, 67
1 1 2, 30.3, 2.945, 94
6 0 2, 34.4, 2.605, 52
0 1 3, 36.1, 2.485, 41
5 1 2, 39.0, 2.312, 46
7 1 0, 42.3, 2.136, 52

----------

For PmPuC, a crystal structure in Alexandria, relaxed with GGA-PBE gives the theoretical PXRD pattern in this record (Cu Ka).
Intensities are scaled so that the largest is 1000.

The 12 most intense peaks (10 to 90 degrees two-theta), by angle:
| d (Å) | 2theta | I_rel |
| --- | --- | --- |
| 5.816 | 15.23 | 95 |
| 3.164 | 28.20 | 381 |
| 2.906 | 30.76 | 1000 |
| 2.573 | 34.87 | 260 |
| 2.565 | 34.99 | 519 |
| 1.874 | 48.59 | 273 |
| 1.764 | 51.83 | 177 |
| 1.760 | 51.96 | 97 |
| 1.542 | 59.99 | 95 |
| 1.539 | 60.14 | 193 |
| 1.506 | 61.59 | 97 |
| 1.453 | 64.08 | 135 |

```
data_PmPuC
_chemical_formula_sum 'Pm2 Pu2 C2'
_cell_length_a 6.115
_cell_length_b 3.520
_cell_length_c 6.653
_cell_angle_alpha 90.00
_cell_angle_beta 107.99
_cell_angle_gamma 90.00
_symmetry_space_group_name_H-M 'P 1 21/m 1'
_symmetry_Int_Tables_number 11
loop_
_symmetry_equiv_pos_as_xyz
'x,y,z'
'-x,-y,-z'
'-x,y+1/2,-z'
'x,-y+1/2,z'
loop_
_atom_site_label
_atom_site_type_symbol
_atom_site_fract_x
_atom_site_fract_y
_atom_site_fract_z
Pm1 Pm 0.009 0.250 0.275
Pu1 Pu 0.494 0.250 0.727
C1 C 0.280 0.750 0.509
```
└──
-- Back to the text --
WALKS: No! These are all too reminiscent of last week’s Daily Obsession Parades!
SITTING ALONE IN MY APARTMENT: To do what? Apply for a JOB? Organize? Bake a pie? Adopt a cat? Who do you think I am?
In So Sad Today, Melissa Broder says that being druggily obsessed with another person is not so much about that person as it is about old pain. I wonder if this could, perhaps, be why I’ve been in so much pain! I have clarity about this for one fleeting moment and then I think about him again, old pain, my boyfriend. I think I can make this work. Then I think I am so stupid. Then I think about introducing him to my friends.
“This is my boyfriend, Old Pain. He’s from Old Pain. For work, he is old pain. Sometimes, on the weekends, he’s old pain. When I dream of him, he’s in the shape of someone I could love. But every time I touch him, I just feel old pain.”
I wish knowing he is Old Pain made me less obsessed with him. I wish I believed in a greater narrative, a personal god, or signs. But when I believe in signs, the signs always say “it’s him, it’s now, it’s you, it’s this, it’s happening!!” and they never, not once, have said “temperance, temperance, temperance, temperance, go to sleep, send an email, clean your apartment”.
I wish I knew the difference between a moment and a monument.
And sometimes I do! Sometimes it’s easy not to think of him, like when I think of HIM THE ACTUAL PERSON, or see a picture of HIM, or read a text HE sent me. The reality of HIM THE ACTUAL PERSON is not “addictive”. It’s not even a part of this story. It’s not relevant.
It’s not HIM that I love, but the peripheral him, the version that lives only in my mind, face always obscured, like when you think of an apple but you’re not sure if you’re actually seeing an image of an apple or if you’re just seeing darkness in the shape of an apple.
I know these things, I am writing them down, I have these moments of clarity, but they just aren’t sticky enough. They don’t accumulate. I go to sleep clear and I wake up foggy. I heal and then unheal and heal and unheal and heal and unheal until I kill a bug and go to sleep again. This cycle sounds… familiar, doesn’t it?
Wow, look at this psychotic drawing someone made. Not me
IT’S THE HOT GOTH CYCLE! We all remember her, the idea that life is just going from Hot to Goth to Hot to Goth over and over again. We go to The Party just to leave The Party, from party to party, til death. Here’s a refresher on our Hot Girl Gothic doctrine, if you need it.
But the Hot Goth Cycle operates in different scales, different scopes. There’s the normal version, the Meso Hot Goth Scale, the one that we usually talk about when we talk Hot Goth Cycle. This is when you feel pretty Hot for a few days, but you party too hard, or take too many risks, so you have a Hot overdose and then you’re Goth again. It’s not a science (or is it), but we’re usually looking at a scale of days, or weeks.
Then there’s a more Macro Hot Goth Scale, dealing with years at a time. Perhaps you consider, with a broad brush, middle school to be Goth, because you were bullied and alone on Tumblr and yes hot things were happening all the time, but using the Macro Hot Goth Scale, it all looks Goth from here.
The Mega Hot Goth Scale would be your whole life. You’re born, you enter The Party (what could be hotter than living?) and then, as you get older, you begin to go Goth, and you die. You leave The Party. Hot Goth Cycle completed.
But when you can only look through the Micro Hot Goth Scale, like I’m doing now, it’s maddening. I have moments of perspective. Sometimes hours. I don’t need him. I am Goth. But an hour passes, or 10 minutes, or 30 seconds, and I need him again. Hot. Goth. Hot. Goth. Within a MINUTE. Within a SECOND. I can’t zoom out! I am spinning and spinning and spinning on the Hot Goth Cycle at a shocking rate.
I’d like it to stop. To cease. What does desist mean? Who could EVER know. No one does.
This is why I am issuing myself, Hot Girl Gothic, a cease and desist. Because I love being Hot and Goth and Hot again, always changing, ever moving. I love being porous and I love being cruel and I love being something incoherent. But right now, I just want to be well. And in Hot Girl Gothic, there is no permanent well. There’s no permanent anything. What kind of system is that?
I have been served.
To: Maison Kelly
From: Maison Kelly
It's hard out here for a hot girl!